Our Property Funds

Our Property Funds:

The Veuve Property Group is the trustee and/or investment manager of the following specialist childcare development and investment property trusts:

Veuve Education Fund:

The Veuve Education Fund (VEF or the Fund) has been established to acquire and hold for income purposes a portfolio of existing and new early learning centres. VEF has been established as a Core Plus fund (Growth and Income) focused on acquiring a mix of existing and new centres which may be acquired on a land purchase and fund through to complete the development of the centre.

VEF is in the process of acquiring an initial portfolio of properties and issuing an Information Memorandum to wholesale or high net worth investors to raise the initial capital of the Fund.

VEF is an unregistered managed investment scheme with MARQ Private Funds Pty Ltd (MARQ) appointed to act as an independent Trustee of the Fund. MARQ has appointed Veuve Investment Management Pty Ltd (VIM) as the investment manager of the Fund (Manager) pursuant to an investment agreement.

Set out below is a chart reflecting the structure of the Fund:

Hume Childcare Trusts:

Veuve Group Holdings Pty Ltd has entered into an investment deed with Hume Partners Pty Ltd to acquire land in metropolitan areas of Melbourne and develop a number of early learning centres on behalf of their investors.

The first of these projects was a unique early learning centre in Oakleigh South, Victoria which was built with cross laminated timber panels. The centre was built by Atelier Projects Pty Ltd who have won the 2018 Best Sustainable Project Award at the Master Builders Victoria 2018 Excellence in Construction awards in August 2018. This centre opened in January 2018 and the property was sold in August 2018.
See: http://www.elcoakleighsouth.com.au/

Further projects are being undertaken in Doncaster and Heathmont in Victoria.

Veuve Investment Trust:

**Someone pasted data records at this point**
=====
[1]
Below is a relaxed structure of MgTiF6, with properties calculated at the meta-GGA r2SCAN level.

```
MgTiF6
1.0
4.693 -2.608 0.000
4.693 2.608 0.000
3.243 0.000 4.279
Mg Ti F
1 1 6
Direct
0.500 0.500 0.500
0.000 0.000 0.000
0.672 0.842 0.242
0.842 0.242 0.672
0.758 0.328 0.158
0.158 0.758 0.328
0.328 0.158 0.758
0.242 0.672 0.842
```

Summary:
The calculation puts the energy relative to the elements at -3.725 eV per atom. As for the symmetry: R-3, No. 148.

[2]
Below is a relaxed structure of MgVF6, with properties calculated at the meta-GGA r2SCAN level.

```
MgVF6
1.0
-4.586 1.849 -1.936
-4.498 0.145 2.820
-2.245 4.517 1.660
Mg V F
1 1 6
Direct
0.500 0.500 0.500
0.000 0.000 0.000
0.650 0.868 0.239
0.868 0.239 0.650
0.761 0.350 0.132
0.132 0.761 0.350
0.350 0.132 0.761
0.239 0.650 0.868
```

Summary:
The calculation puts the energy relative to the elements at -3.346 eV per atom. As for the symmetry: R-3, No. 148.

[3]
Below is a relaxed structure of MgWF5, with properties calculated at the meta-GGA r2SCAN level.

```
MgWF5
1.0
-2.434 -4.564 -1.561
0.864 -0.443 -5.315
5.077 -5.224 -1.274
Mg W F
2 2 10
Direct
0.520 0.480 0.250
0.480 0.520 0.750
0.000 0.000 0.000
0.000 0.000 0.500
0.151 0.849 0.750
0.849 0.151 0.250
0.699 0.786 0.636
0.214 0.301 0.864
0.680 0.304 0.949
0.696 0.320 0.551
0.320 0.696 0.051
0.304 0.680 0.449
0.786 0.699 0.136
0.301 0.214 0.364
```

Summary:
The calculation puts the energy relative to the elements at -2.803 eV per atom. As for the symmetry: C2/c, No. 15.

[4]
Below is a relaxed structure of MnF4, with properties calculated at the meta-GGA r2SCAN level.

```
MnF4
1.0
2.904 0.000 -0.063
0.000 8.942 0.000
0.099 0.000 4.551
Mn F
2 8
Direct
0.000 0.000 0.000
0.000 0.500 0.500
0.001 0.131 0.284
0.001 0.369 0.784
0.500 0.902 0.177
0.500 0.402 0.323
0.500 0.598 0.677
0.500 0.098 0.823
0.999 0.631 0.216
0.999 0.869 0.716
```

Summary:
The calculation puts the energy relative to the elements at -2.439 eV per atom. As for the symmetry: Pbam, No. 55.

[5]
Below is a relaxed structure of MnF2, with properties calculated at the meta-GGA r2SCAN level.

```
MnF2
1.0
-3.168 0.283 0.920
0.839 -2.942 3.793
1.141 3.862 2.744
Mn F
2 4
Direct
0.500 0.500 0.500
0.000 0.000 0.000
0.000 0.695 0.695
0.500 0.805 0.195
0.000 0.305 0.305
0.500 0.195 0.805
```

Summary:
The calculation puts the energy relative to the elements at -2.921 eV per atom. As for the symmetry: P4_2/mnm, No. 136.

[6]
Below is a relaxed structure of MnF2, with properties calculated at the meta-GGA r2SCAN level.

```
MnF2
1.0
-0.040 2.242 4.399
-4.799 2.112 -1.120
-2.589 -4.641 2.342
Mn F
4 8
Direct
0.500 0.750 0.329
0.000 0.250 0.171
0.500 0.250 0.671
0.000 0.750 0.829
0.729 0.078 0.395
0.229 0.922 0.105
0.771 0.578 0.105
0.271 0.422 0.395
0.729 0.578 0.605
0.229 0.422 0.895
0.771 0.078 0.895
0.271 0.922 0.605
```

Summary:
The calculation puts the energy relative to the elements at -2.921 eV per atom. As for the symmetry: Pbcn, No. 60.

[7]
=====

The Veuve Investment Trust (VIT) was established to acquire and convert and existing property in Coburg, Victoria into an early learning centre. The property comprises and existing two level building with a basement car park that is being converted into a 128 place early learning centre.

A feature of VIT is that the Trustee offered its private investors an interest in both the property (via the trust) and the operating business through VIT Operations (Holdings) Pty Ltd (VITO), which in turn holds an equity interest in the tenant entity that will operate the centre. Equity in VIT and VITO has been “stapled” providing investors with an enhanced return.


Veuve Education Trust:

The Veuve Education Trust (VET) was established in late 2014 to acquire land and develop early learning centres in an alliance with Green Leaves Group (see https://greenleavesgroup.com.au) VET is a wholesale unit trust funded by a group of private investors.

VET has acquired and completed the development of 11 early learning centres across Queensland, New South Wales, Victoria, South Australia and Tasmania (see Completed Projects).

Two of these completed developments were sold privately while the other nine properties were sold to Arena REIT for $63.3m in July 2017 in a transaction that involved the sale of the land together with a funding arrangement to VET to complete the development of the centres in accordance with the terms of a development agreement (see News).

What comes next are materials data, not part of the piece >
+++
DFT (meta-GGA r2SCAN) results for a relaxed structure of LiMg.

electronic total energy = -3.29 eV per atom
space-group type = No. 156

Lattice parameters (Å, degrees): 3.115 3.115 15.169 90.00 90.00 120.00
Fractional positions:
Li (0.000, 0.000, 0.000)
Li (0.000, 0.000, 0.336)
Li (0.667, 0.333, 0.838)
Mg (0.000, 0.000, 0.672)
Mg (0.667, 0.333, 0.171)
Mg (0.667, 0.333, 0.500)


Computed, not measured: MgAlBi12O20 after structural relaxation at the PBE-GGA level of DFT.

Calculated values
- formation energy (eV/atom) = -1.71
- total magnetic moment (μB/f.u.) = 0.0
- energy above the most stable polymorph in this dataset (eV per formula unit) = 1.08
- SG = C2, No. 5

abc: 9.235 9.149 9.235
angles: 112.11 104.34 112.52
Atoms (fractional coordinates):
O  0.250  0.207  0.249
O  0.871  0.605  0.216
O  0.085  0.353  0.718
O  0.952  0.293  0.958
O  0.602  0.183  0.872
O  0.612  0.395  0.267
O  0.222  0.865  0.620
O  0.688  0.817  0.419
O  0.760  0.427  0.638
O  0.042  0.793  0.043
O  0.056  0.004  0.866
O  0.392  0.299  0.625
O  0.754  0.135  0.357
O  0.665  0.707  0.659
O  0.007  0.993  0.382
O  0.390  0.007  0.014
O  0.365  0.647  0.732
O  0.862  0.996  0.052
O  0.327  0.701  0.094
O  0.211  0.573  0.333
Bi  0.426  0.795  0.600
Bi  0.241  0.447  0.100
Bi  0.128  0.827  0.308
Bi  0.806  0.205  0.631
Bi  0.653  0.553  0.794
Bi  0.481  0.173  0.301
Bi  0.809  0.318  0.129
Bi  0.189  0.692  0.863
Bi  0.172  0.308  0.498
Bi  0.337  0.130  0.855
Bi  0.811  0.682  0.491
Bi  0.725  0.870  0.208
Mg  0.834  0.000  0.834
Al  0.060  0.000  0.060
+++

VET has recently completed the settlement of the sale of its last property at Albury NSW under a similar sale and fund through arrangement with the development expected to be completed in late-2020.